Material =
'''
(1)
! CsZrOF5 | the Materials Project | PBE-GGA | optimized geometry; values from VASP
&SYSTEM
  ibrav = 0, nat = 16, ntyp = 4
/
ATOMIC_SPECIES
Zr 91.22 Zr.upf
F 19.00 F.upf
O 16.00 O.upf
Cs 132.91 Cs.upf
ATOMIC_POSITIONS crystal
Zr 0.776 0.084 0.847
F 0.581 0.263 0.655
F 0.419 0.737 0.345
O 0.995 0.741 0.400
F 0.809 0.903 0.702
Cs 0.348 0.639 0.728
F 0.148 0.964 0.884
F 0.429 0.173 0.987
F 0.899 0.352 0.839
O 0.005 0.259 0.600
F 0.852 0.036 0.116
Cs 0.652 0.361 0.272
F 0.571 0.827 0.013
Zr 0.224 0.916 0.153
F 0.101 0.648 0.161
F 0.191 0.097 0.298
CELL_PARAMETERS angstrom
-0.577 3.367 -4.086
-7.002 1.347 1.167
-0.653 7.293 4.181
! Theoretical density in g/cm³: 3.7
! Energy of formation in kcal/mol of atoms: -71.2
! Calculated volume in A^3/atom: 18.9
! M_tot in μB per atom: 0.250


(2)
! Nd2GeB2O8 | the Materials Project | PBE-GGA | optimized geometry; values from VASP
&SYSTEM
  ibrav = 0, nat = 52, ntyp = 4
/
ATOMIC_SPECIES
O 16.00 O.upf
Nd 144.24 Nd.upf
Ge 72.64 Ge.upf
B 10.81 B.upf
ATOMIC_POSITIONS crystal
O 0.705 0.900 0.505
Nd 0.458 0.974 0.360
Ge 0.577 0.250 0.000
B 0.467 0.296 0.799
O 0.295 0.400 0.505
Nd 0.542 0.474 0.360
Nd 0.542 0.026 0.640
B 0.533 0.704 0.201
O 0.462 0.446 0.807
O 0.773 0.240 0.781
B 0.033 0.796 0.701
O 0.850 0.233 0.607
O 0.205 0.600 0.005
O 0.705 0.600 0.495
O 0.650 0.767 0.107
O 0.150 0.733 0.607
O 0.962 0.054 0.307
O 0.295 0.100 0.495
O 0.538 0.554 0.193
Nd 0.042 0.026 0.860
O 0.350 0.267 0.107
O 0.850 0.267 0.393
O 0.038 0.554 0.307
O 0.962 0.446 0.693
Nd 0.458 0.526 0.640
O 0.727 0.740 0.719
O 0.273 0.260 0.281
Nd 0.958 0.974 0.140
Ge 0.077 0.250 0.500
O 0.150 0.767 0.393
O 0.538 0.946 0.807
O 0.227 0.760 0.219
O 0.795 0.400 0.995
O 0.038 0.946 0.693
O 0.273 0.240 0.719
Ge 0.423 0.750 0.000
Nd 0.958 0.526 0.860
O 0.462 0.054 0.193
B 0.967 0.296 0.701
B 0.967 0.204 0.299
O 0.773 0.260 0.219
O 0.650 0.733 0.893
O 0.350 0.233 0.893
O 0.205 0.900 0.995
B 0.033 0.704 0.299
O 0.727 0.760 0.281
O 0.227 0.740 0.781
B 0.467 0.204 0.201
O 0.795 0.100 0.005
Nd 0.042 0.474 0.140
B 0.533 0.796 0.799
Ge 0.923 0.750 0.500
CELL_PARAMETERS angstrom
4.520 0.000 0.000
0.000 9.583 0.000
0.000 0.000 13.836
! Theoretical density in g/cm³: 5.7
! Energy of formation in kcal/mol of atoms: -73.0
! Calculated volume in A^3/atom: 11.5


(3)
! Li5Y2Sb4 | the Materials Project | PBE-GGA | optimized geometry; values from VASP
&SYSTEM
  ibrav = 0, nat = 11, ntyp = 3
/
ATOMIC_SPECIES
Li 6.94 Li.upf
Sb 121.76 Sb.upf
Y 88.91 Y.upf
ATOMIC_POSITIONS crystal
Li 0.827 0.827 0.508
Li 0.673 0.673 0.993
Sb 0.623 0.623 0.710
Sb 0.873 0.873 0.800
Li 0.175 0.175 0.492
Y 0.999 0.999 0.001
Sb 0.121 0.121 0.214
Li 0.257 0.257 0.763
Li 0.759 0.759 0.223
Y 0.497 0.497 0.502
Sb 0.373 0.373 0.284
CELL_PARAMETERS angstrom
-0.403 -2.857 7.905
3.842 -3.515 6.610
2.480 4.801 5.691
! Theoretical density in g/cm³: 4.6
! Energy of formation in kcal/mol of atoms: -19.6
! Calculated volume in A^3/atom: 22.8
! M_tot in μB per atom: 0.001


(4)
! NaCa2Zr2PS5O24 | the Materials Project | PBE-GGA | optimized geometry; values from VASP
&SYSTEM
  ibrav = 0, nat = 105, ntyp = 6
/
ATOMIC_SPECIES
P 30.97 P.upf
O 16.00 O.upf
S 32.06 S.upf
Ca 40.08 Ca.upf
Zr 91.22 Zr.upf
Na 22.99 Na.upf
ATOMIC_POSITIONS crystal
P 0.714 0.718 0.252
O 0.007 0.205 0.906
P 0.282 0.994 0.252
O 0.347 0.487 0.363
O 0.459 0.147 0.250
S 0.671 0.044 0.085
O 0.534 0.836 0.760
Ca 0.667 0.332 0.683
O 0.303 0.465 0.759
O 0.303 0.443 0.464
O 0.558 0.861 0.464
Zr 0.323 0.658 0.812
O 0.201 0.171 0.093
O 0.337 0.867 0.577
O 0.630 0.495 0.923
Na 0.338 0.670 0.162
S 0.043 0.666 0.413
O 0.191 0.021 0.597
O 0.214 0.191 0.801
S 0.956 0.625 0.085
O 0.872 0.515 0.414
O 0.788 0.972 0.700
Na 0.670 0.333 0.828
O 0.800 0.827 0.198
S 0.372 0.329 0.085
S 0.962 0.327 0.585
Ca 0.666 0.334 0.486
S 0.704 0.994 0.752
O 0.503 0.137 0.923
O 0.857 0.290 0.534
Ca 0.999 0.003 0.856
Na 0.659 0.335 0.332
O 0.132 0.500 0.864
Zr 0.998 0.000 0.647
O 0.456 0.307 0.034
O 0.711 0.568 0.534
S 0.628 0.960 0.413
'''

Job =
Type out only the lines further above with the word "optimized" in them, please.

Solution =
! CsZrOF5 | the Materials Project | PBE-GGA | optimized geometry; values from VASP
! Nd2GeB2O8 | the Materials Project | PBE-GGA | optimized geometry; values from VASP
! Li5Y2Sb4 | the Materials Project | PBE-GGA | optimized geometry; values from VASP
! NaCa2Zr2PS5O24 | the Materials Project | PBE-GGA | optimized geometry; values from VASP